Pathocracy today
Pathocracy1 is born from parasitizing great social movements, then becoming a disease of entire societies, nations and empires. In the course of human history, it has affected social, political, and religious movements, distorting the accompanying ideologies, characteristic for the time and ethnological conditions, and turning them into caricatures of themselves. This occurs as a result of the activities of similar etiological factors in this phenomenon, namely the participation of pathological factors in a pathodynamically similar process. That explains why all the pathocracies of the world are and have been so similar in their essential properties. Contemporaneous ones easily find a common language, even if the ideologies nourishing them and protecting their pathological contents from identification differ widely. (Łobaczewski, 2022, p. 202)
In a global hysterical crisis2 situation, bold visions of salvation can both inspire people to action and at the same time deprive them of common sense. The end does not always justify the means, but radical action and hysteria whipped up by well executed propaganda and psych ops, can blind people to the most obvious harms, rob them of their usual morality, and implicate them in the most terrible crimes. Great ideologies are the most dangerous to small minds and the most advantageous to the psychopaths lurking in the bureaucracy. Ultimately it’s a crisis of upheaval that destroys the old order and ushers in the new.
The ideology driving the COVID management may have a veneer of social responsibility but its substance was void of moral criteria as it was always a power grab (politically and commercially). Nevertheless, in a state of panic, many minds were quickly indoctrinated to become servants of the ideology of safety at any cost. The culture at large transforms, can no longer evaluate the original motivation - like limiting death, pain and suffering - and rather becomes the handmaiden to a pathocratic system that perpetuates that very same death, pain and suffering. For the critical thinker and the simply observant it looks like a clown show, but it is anything but funny, with deeply evil undercurrents. The ideology that starts a movement (the safety movement, the culture wars, etc) only lasts for as long as it needs to gain the required momentum. When the crisis comes, the psychopaths rise to the top, the once reasonable ideology morphs into whatever utility is required to expand the pathocracy3.
Out of the crisis language is distorted, doublespeak arises and thought crime becomes a national security issue. A ‘pandemic’ becomes a mild local outbreak, experimental gene therapy becomes a vaccine, ‘truths’ are lies and lies are ‘truth’, a man can be a woman but no one can define a woman. Any criticism of State sanctioned medical intervention and you are an ‘anti-vaxxer’, ‘selfish’ or are ‘killing grandma’. If you threaten the pathocratic rule you are seen as deeply immoral and will be paraded as such.
Whenever a nation experiences a “system crisis” or a hyperactivity of ponerogenic processes within, it becomes the object of pathocratic penetration whose purpose is to serve up the country as booty. It will then become easy to take advantage of its internal weaknesses and revolutionary movements in order to impose rule on the basis of a limited use of force. This will be an artificially infected pathocracy, which bears characteristics that are a fusion of both secondary and primary4 ponerogenic associations. (Łobaczewski, 2022, p. 218-219)
We’ve seen something unique in this regard, on a global level, whereby an engineered ‘crisis’ and the hyperactivity of ponerogenic processes has penetrated all levels of government and the private sector. The world has become booty. Internal weaknesses across the board are taken advantage of as have the ‘revolutionary’ movements that have been harnessed to propagandise the masses. And all this to impose a new rule of law thought a limited use of force5, in a fusion of elites, government, the private sector, and the every-day-pro-vax good citizen ready to dob in the neighbours for the slightest hint of vaccine hesitancy.
In classic enforced pathocracy those who pose the greatest risk are crushed or exterminated - military leaders for example, or moral and legal leaders who oppose the new order. Today it’s the doctors and scientists who can see through the propaganda who are the most dangerous to the new regime and who are being systematically crushed, mostly by being cancelled and shut-down socially but some suddenly dying. Those who hold to the natural rights of a human being, of a nation, of a parent, are being criminalised under pathological ideals adopted by the controlling entities.
Decent people and patriots just yesterday, they now espouse the new ideology and behave contemptuously to anyone still adhering to the old values, faith in God, or patriotism. (Łobaczewski, 2022, p. 220)
Once ripe, enforced pathocracy of this current technocratically driven medical/safety authoritarianism will impose its pathological mechanisms to every inch of society. Like a paranoid schizophrenic our world will be a continual experience of emergencies (primarily weather, medical, and terrorism) to which we must react in obedience to top-down ‘safety and care’ measures that constrict life and liberty out of every individual. You are weak, vulnerable, and the sun/rain/plague/terrorist is at the door and can kill you in an instant6, is actively pursuing you to kill you, and your only salvation is in obedience to those who know what to do. Individualism will be a crime agains society. Complete mass obedience will be the ultimate virtue. Meanwhile the psychopaths at the top with their multi-billion dollar multinationals reap the worlds riches with a blood-soaked sickle.
OK so I’ve not followed the detailed and very formulaic pattern of pathocratic development described by Łobaczewski. I’ve picked bits and pieces, partly because our current situation is similar in some respects to nations of the past falling under totalitarian rule but also different in many ways because we are talking about a global phenomenon. Like any complex system a simple model will not do, and I see a thousand future history books analysing the first half of the 21st century from a myriad perspectives. What I think is more simplistic and self-evident, however, is that a society shaped by insanity cannot last and it naturally forces parallel societies of those who have chosen not to partake in the insanity. Because of technology and its capacity to accelerate things, it’s likely the insanity (the control, the paranoia, the objectification of everything, the departure from the real and embracing of the virtual, the departure from faith, the constant fear, chaos, and stupidity) will not last as long as it may have in the past. The same technology that can enslave us is also providing more opportunity for parallel societies to become organised and connect, and unless the internet is taken down completely (which the technocrats will not let happen because it’s the conduit for their commerce) will help us forge stronger bonds, hope, and the seed for the counter-revolution back to sanity.
Łobaczewski, A. M. (2022). Political Ponerology: The science of evil, psychopathy, and the origins of totalitarianism. Otto, NC: Red Pill Press
Inserted here: data records >
~~~
(1)
Molecular formula: C6H15N
Method: DFT, the ωB97M-V functional and the def2-TZVPD basis

Structure (XYZ):
```
22
Properties=species:S:1:pos:R:3:forces:R:3:nbo_charge:R:1
C -1.2298 0.1181 -2.9296 -0.2 -0.6 0.3 -0.61
C -1.5949 0.7883 -1.6255 0.2 0.5 1.9 -0.21
N -0.8271 0.1605 -0.5396 -0.4 -0.9 -0.5 -0.66
C -0.1909 0.6933 0.6397 0.6 0.9 -1.4 -0.20
C 0.5122 -0.4229 1.3782 1.1 -0.9 1.3 -0.21
C 1.5342 -1.2894 0.5851 -0.6 1.6 -0.9 -0.60
C 1.2357 0.2016 2.6175 -0.8 -0.1 -1.3 -0.60
H -0.2780 0.5098 -3.2791 -0.2 0.1 -0.4 0.21
H -1.0453 -0.9408 -2.7340 0.0 0.0 0.1 0.20
H -2.0495 0.1153 -3.6476 0.3 0.5 -0.3 0.21
H -2.6539 0.7218 -1.3433 -0.1 0.0 -0.6 0.17
H -1.3749 1.8589 -1.6024 0.1 0.0 -0.3 0.19
H -1.1482 -0.7880 -0.4351 0.0 -0.1 0.3 0.35
H -0.7398 1.3345 1.3554 -0.6 -0.6 -0.1 0.17
H 0.5340 1.4212 0.2231 0.3 -0.3 0.4 0.17
H -0.1989 -1.2056 1.6654 -0.5 0.5 0.5 0.19
H 2.0678 -0.6229 -0.1033 0.1 -0.2 0.0 0.20
H 0.9744 -2.0013 -0.0174 0.3 -0.2 -0.1 0.21
H 2.2692 -1.7813 1.2101 -0.1 -0.2 0.3 0.21
H 1.9000 -0.5236 3.0717 0.2 0.1 0.2 0.21
H 1.7635 1.0428 2.1652 0.5 0.0 0.5 0.20
H 0.5403 0.6098 3.3457 -0.1 -0.1 0.1 0.21
```
Forces are in eV/Å.

Calculated values
Calculated total energy in Eh: -292.3255
ΔE to the lowest compared entry with this formula, charge and spin in kJ/mol: 114.4
Strongest force on any atom in eV Å⁻¹: 2.0
Total charge: 0


(2)
Molecular formula: C6H15N
Method: DFT, the ωB97M-V functional and the def2-TZVPD basis

Structure (XYZ):
```
22
Properties=species:S:1:pos:R:3:forces:R:3:nbo_charge:R:1
C -0.6676 -2.0118 -2.3303 0.1 -0.3 -0.6 -0.48
N -0.5217 -0.7599 -1.6779 0.4 0.2 0.5 -0.10
C 0.0245 -0.6158 -0.3497 -0.4 0.4 0.4 -0.10
C -0.3921 0.7378 0.2259 0.2 -0.1 0.5 -0.42
C 0.0661 0.9478 1.6745 0.9 0.7 -0.5 -0.40
C -0.4498 2.2719 2.2663 -0.8 -0.9 -0.4 -0.61
C 1.5476 -0.8064 -0.3626 0.5 -0.5 0.2 -0.62
H -0.1144 -1.9749 -3.2763 -0.2 0.0 -0.1 0.27
H -1.7244 -2.1808 -2.5499 -0.1 0.1 -0.2 0.28
H -0.2915 -2.8593 -1.7654 0.1 0.3 0.4 0.25
H -0.7820 0.1081 -2.1583 0.0 -0.4 -0.1 0.42
H -0.4106 -1.4332 0.2303 0.0 -0.2 0.0 0.24
H 0.1273 1.4989 -0.3606 -0.3 0.2 -0.2 0.21
H -1.4755 0.8763 0.1814 0.0 0.0 -0.2 0.22
H -0.0976 0.0967 2.3286 -0.5 -0.2 0.0 0.21
H 1.1567 1.0471 1.6326 0.0 -0.1 0.1 0.21
H -1.5068 2.4483 2.0297 0.1 -0.1 -0.1 0.21
H 0.1106 3.1188 1.8845 0.2 0.1 0.3 0.22
H -0.4269 2.1490 3.3367 0.4 0.6 0.4 0.23
H 2.0882 0.1180 -0.5666 -0.1 -0.1 -0.4 0.24
H 1.8520 -1.6300 -1.0035 0.0 0.2 -0.4 0.23
H 1.8878 -1.1466 0.6104 -0.3 0.2 0.3 0.26
```
Forces are in eV/Å.

Calculated values
Calculated total energy in Eh: -292.0544
ΔE to the lowest compared entry with this formula, charge and spin in kJ/mol: 20.5
Multiplicity: 2
Strongest force on any atom in eV Å⁻¹: 1.3
Total charge: +1


(3)
Molecular formula: C6H15N2
Method: DFT, the ωB97M-V functional and the def2-TZVPD basis

Structure (XYZ):
```
23
Properties=species:S:1:pos:R:3:forces:R:3:nbo_charge:R:1
C -0.1880 -2.3059 -0.3133 -0.1 -0.2 0.6 -0.28
N -0.3808 -0.9666 -0.8273 1.1 -0.6 -0.5 -0.25
~~~
Pathocracy: A macrosocial disease of mass social movements and ideologies (whether social, political, or religious) which infects entire societies, nations, and empires. Pathocracy is the result of ponerized (evil) secondary ponerogenic unions (ordinary people and their movements inspired by primary ponerogenic unions which are basically psychopaths getting together in an attempt to rule the world) which achieve political domination either through revolution from below or from above. Pathocracy can also come about through foreign influence, either imposed by force or through artificial infection (psychological warfare, subversion, infiltration). Pathocracy is a pathological inversion of a normal social hierarchy, in which social outcasts, criminals, and other psychological deviants rise to the top.
The crisis stage of a hysteroidal cycle. The hysteroidal cycle describes a society’s hysterical condition (consisting of individual cases and mass social hysteria) rises and falls, with an average period of around two centuries (however Peter Turchin’s structural-demographic theory has longer cycles of 200-300 years, but similar stages). The peak of mass hystericization may be followed by a crisis such as societal collapse, war revolution, and/or pathocracy. In the hysteroidal state before and during a societal crisis, radical ideologies take hold, especially among young people, intellectuals, and other “bourgeois elites”. Symptoms of this state include: habitually ignoring actual problems and their real causes, focusing on pseudo-problems and convenient but ineffective solutions, the inability to reason and judge evidence soundly, silencing sound criticism and amplifying radical voices, giving overly charitable interpretations to trendy but unscientific ideas. In these conditions, it is very easy for overly simplistic, unscientific, illogical, and totalitarian ideologies to gain adherents. Such ideologies tend to identify the source of society’s problem within some group category, whether based on religion, class, or race, e.g., the unvaxxed (in the case of COVID), climate change deniers (in the case of ‘climate change’), or “whiteness” (in the case of critical race theory).
Thus the obvious disconnect between keeping people safe from a virus and digital passports, digital currency, excessive monitoring of every aspect of your life by the government. Even with the evidence now at hand about the ineffectiveness of masks, lockdowns, and the jabs, there’s still a message from authorities that these things are good for us - because their utility is not about health but about control.
Once again the primary ponerogenic associations are the bad guys (criminals, mafias, cartels, cabals, the Fauci/Gates/Schwab types) working in tandem and the secondary association is the ‘ordinary’ bureaucrats, unions, and organisations that go along with the crazies and their propaganda.
well in most places bar Melbourne, Germany/Austria, parts of Canada, and who know what goes on in China.
oh and cows. Yes cows are going to kill us too apparently. But don’t worry, Bill Gates is not only going to blot out the sun so we don’t shrivel to a crisp but he’s going to supply the world with synthetic meat so we don’t have to have those pesky farting cows around the place causing severe weather events. Of course Bill will control the food, but that’s because he’s the expert who knows how to save us and you are not! Relax, what could go wrong?
Pathocracy: How have I lived without this term all these years?!
Brilliant article,and I loved at the end,you talked of the "evil farting cows".